(NOTE: We will use Fun Financial Fridays as a way to provide insights on how financial and money professionals think about, lecture on and practice financial discipline. These posts will follow Tony Steuer’s Get Ready Formula and we will provide a summary of his weekly recommendations from this 52 week workbook titled The Get Ready Blueprint – A 52 Week Guide to Changing the Way You Think About Money. This is a true workbook with areas to pencil in responses, habit and journaling.)
- In week 1️⃣ you should’ve set your North Star, your mission to financial competency
- In week 2️⃣, You should’ve defined your goals and priorities
Here in week 3️⃣ you should adapt your goals so that you can be prepared for the life stage risks before they arrive and not need to rush to haphazardly be ready. Tony break down the four stages into 4 major categories: STARTING OUT, ACCUMULATION, FINANCIAL INDEPENDENCE, and GOLDEN YEARS.
STARTING OUT – This is stage 1 and happens earlier than we expect. As soon as you earn your first dollar you are on your way (whether you like it or not). At this stage you should be setting goals to:
- Save for stage 2 (financial independence)
- Getting some protection in place, such as insurance, so that an unforeseen accident doesn’t destroy your plans (such as an illness, accident etc)
- Creating a rainy day fund. This is another source of insurance just in case something happens and you need some cash to fall back on.
- Establishing a good credit history (how do you think you can buy that first home without proper credit)
- Paying back your student loans and debts
ACCUMULATION – These are your peak earning years. You should be making goals to:
- Grow your wealth with investments
- Further protecting your income and family with insurance (life insurance enters the scene)
- Saving for your kids (and getting them ready for financial competency)
- Creating an estate plan
- Continue to manage your debts and living within your means
FINANCIAL INDEPENDENCE – At this stage you are no longer dependent on earned income. Your goals should focus on:
- Optimizing your streams of income
- Updating your Investment Policy Statement to reflect that you are less in need of accumulation but in need of distribution
**Someone pasted calculated crystals at this point:**
/*
1.
# Al2PtAu

A relaxed Al2PtAu crystal (GGA-PBE, Alexandria via LeMat-Bulk).

Lattice parameters (Å, degrees): 3.4783 3.4783 5.3247 90.00 90.00 90.00
Closest atoms and distances in Å follow each position.
Space group P4mm (No. 99)
Unique sites:
Al  0.0000  0.0000  0.0000 x1  4 Pt 2.61, 2 Au 2.63-2.70
Al  0.5000  0.5000  0.3112 x1  2 Pt 2.54-2.79, 4 Au 2.64
Pt  0.5000  0.5000  0.8350 x1  6 Al 2.54-2.79
Au  0.0000  0.0000  0.4937 x1  6 Al 2.63-2.70

Summary:
- Energy above the lowest structure with this stoichiometry: 0.0 meV per atom
- D(E_F): 0.3 states/eV per cell
- Calculated volume: 16.1 Å³ per atom
- Total magnetic moment: 0.000 μB/f.u.

=====

2.
# SrLa5Au6

A relaxed SrLa5Au6 crystal (GGA-PBE, Alexandria via LeMat-Bulk).

Lattice parameters (Å, degrees): 5.3702 16.1520 7.5430 90.00 90.00 90.00
Closest atoms and distances in Å follow each position.
Space group Cmmm (No. 65)
Unique sites:
Sr  0.0000  0.0000  0.0000 x2  8 Au 3.34-3.38
La  0.0000  0.0000  0.5000 x2  8 Au 3.23-3.36
La  0.0000  0.3341  0.5000 x4  8 Au 3.20-3.27
La  0.0000  0.3369  0.0000 x4  8 Au 3.26-3.30
Au  0.0000  0.1729  0.2525 x8  7 La 3.20-3.36, 1 Sr 3.38
Au  0.0000  0.5000  0.2630 x4  6 La 3.22-3.30, 2 Sr 3.34, 1 Au 3.57

Summary:
- D(E_F): 21.4 states/eV per cell
- Calculated volume: 27.3 Å³ per atom
- Total energy: -0.3387 Ry/atom
- Total magnetic moment: 0.000 μB/f.u.

=====

3.
# La2HoHg

A relaxed La2HoHg crystal (GGA-PBE, Alexandria via LeMat-Bulk).

Lattice parameters (Å, degrees): 3.8003 3.8003 8.9633 90.00 90.00 90.00
Closest atoms and distances in Å follow each position.
Space group P4/mmm (No. 123)
Unique sites:
La  0.0000  0.0000  0.2272 x2  4 Hg 3.37, 4 Ho 3.63
Ho  0.5000  0.5000  0.5000 x1  8 La 3.63, 4 Ho 3.80
Hg  0.5000  0.5000  0.0000 x1  8 La 3.37

Summary:
- Energy above the lowest structure with this stoichiometry: 26.3 meV per atom
- D(E_F): 5.4 states/eV per cell
- Calculated volume: 32.4 Å³ per atom
- Total magnetic moment: 0.000 μB/f.u.

=====

- Which formula does entry 2 have?
  SrLa5Au6

=====

Please write out number 1 again, unchanged.
# Al2PtAu

A relaxed Al2PtAu crystal (GGA-PBE, Alexandria via LeMat-Bulk).

Lattice parameters (Å, degrees): 3.4783 3.4783 5.3247 90.00 90.00 90.00
Closest atoms and distances in Å follow each position.
*/
**Back to the text:**
- You may be moving away from employer sponsored health insurance to Medicare, supplements. Long-term care insurance enters the scene as well.
- Continuously updating your will and estate to reflect your mission and desires
GOLDEN YEARS – At this stage you are reaping the rewards of a life well played. Your goals should focus on:
- Estate planning
- Creating healthcare proxies and powers of attorney
- Saving for your grandkids (and getting them ready for financial competency)
Tony provides a workbook where you can write in your goals for the week based on a to-do list Tony illustrates.
Next week (week 4️⃣) we go into Planning for Upcoming Life Events.
About Tony Steuer
I make the complex world of financial services easy to understand so that people feel empowered to take control of their financial lives. A recognized authority on financial preparedness - in case of that disaster you did not expect - I advocate for ethics, integrity and consumer protection within the financial industry.
I make the complex world of financial services easy to understand so that people feel empowered to take control of their financial lives. A recognized authority on financial preparedness - in case of that disaster you did not expect - I advocate for ethics, integrity and consumer protection within the financial industry.